February 17, 2025
Is your hospital or clinic ready for an Ebola outbreak?

Is your hospital or clinic ready for an Ebola outbreak? Nurses must be at the forefront of developing a workplace strategy to combat an Ebola outbreak.  This strategy should cover from the minute a patient enters your healthcare work area to when they are discharged.  OPEIU Nurses Council encourages each of our nurse/union leaders to be at the forefront of developing these policies and strategies.   Health and safety issues are a mandatory bargaining issue.  The union must insist that employers sit down with the union and discuss how to limit Ebola exposure.

At a minimum the union should insist on:

  •  Full-body hazmat suits that meet the American Society for Testing and Materials F1670 standard for blood penetration and the ASTM F1671 standard for viral penetration.  No skin should be exposed or unprotected

  • Air Purifying respirators with a protection factor of at 50 or greater

  • A dedicated team of nurses who are trained in the intricacies of taking care of a patient who has been diagnosed or is suspected to have contracted Ebola.

  • Continuous and interactive training for all nurses RNs who are on the dedicated Ebola team. 

  • Continuous and interactive training for all nurses in donning and doffing hazmat suit.

  • Compensation for any nurse who is infected or exposed to Ebola, if it results in the loss of wages.

  •  The employer will pay for any medical testing or any medical cost that are result from Ebola exposure.

  • The employer must development of a door to discharge plan for the patient, their family members and healthcare staff.

Your employer may not want to include the union in the development of their Ebola plan.  All nurses must insist on having a voice in the care of the patient and staff during the admission of an Ebola patient.  You must insist that your workplace is ready and that there are protections for those you represent in place.

CDC Guidelines for Ebola patient care



If patient has fever, ask:

  1. If patient has traveled to Guinea, Sierra Leone, Nigeria, Liberia (West Africa) in the past 21 days, OR
  2. Taken care of anyone else who is ill who has traveled to the above locations within the past 21 days,
  3. In addition to fever, patients may have:
  • Severe headache
  • Diarrhea
  • Vomiting
  • Stomach pain
  • Rash
  • Chest pain
  • Difficulty breathing
  • Difficult swallowing
  • Bleeding inside and outside of the body


Notify physician-in-charge immediately (ID and Infection Control will be notified)

== These calculated molecules were left in the entry by mistake ==
~~~
Entry 1:
C36H41CrN4OP2S as an isolated structure, computed with the ωB97M-V functional and the def2-TZVPD basis.

relative energy (zero: lowest compared OMol25 entry of this formula, charge and spin) = 19.86 kcal per mole
HOMO (alpha / beta) = -0.5021 / -0.5005 Eh
multiplicity = 2
HOMO-LUMO gap (alpha / beta) = 0.273 / 0.291 Eh
F_max = 0.46 eV/Å
LUMO level (alpha / beta) = -6.235 / -5.709 eV
charge = +2

The geometry in XYZ format:
```
86
C36H41CrN4OP2S | OMol25 | the ωB97M-V functional and the def2-TZVPD basis
C -1.63 -5.12 -2.32
C 0.26 4.48 -0.38
C -0.13 -2.77 4.57
H 4.06 -4.97 -3.37
H 1.68 -3.68 3.89
C -0.66 -2.24 1.90
H 0.07 -2.98 5.62
H -2.97 3.98 -3.39
H -2.02 -1.82 4.97
C 2.16 -2.37 -2.35
H 1.75 0.68 3.49
C 3.65 -4.22 -2.72
H 2.34 -3.40 -4.21
H 0.76 5.02 0.42
O 2.16 -1.35 -0.26
H 1.51 5.29 -1.93
H -4.16 -0.48 -0.88
H 3.67 5.01 -2.05
C 1.20 4.32 -1.57
C -1.17 -3.90 -1.85
H -2.97 -1.25 -1.94
C -3.36 -1.22 -0.92
H -2.83 2.02 2.21
P -0.95 -1.91 0.15
H 1.23 -3.22 1.51
H 0.23 1.69 5.16
C -2.63 -5.57 -0.17
H -2.72 -6.90 -1.85
C -2.16 -4.36 0.30
H 4.51 3.70 -1.26
C -3.89 2.03 -0.18
C -1.83 1.72 2.48
H 0.70 3.84 -2.42
P -1.48 0.63 -0.14
H -1.40 2.31 -2.48
C -2.65 1.81 -0.80
N 2.62 -2.33 -1.09
H -5.12 4.39 -2.26
H -2.36 -4.07 1.33
C -1.39 1.92 3.78
S 0.94 -1.24 -2.80
H -4.18 1.45 0.69
C 0.75 0.97 3.22
C -4.43 3.67 -1.85
C -1.31 -2.12 4.21
C 3.74 5.20 0.10
C 2.70 -3.35 -3.19
N 1.30 1.55 -1.21
C 0.30 0.78 1.92
H 4.84 -4.80 -0.99
C -0.11 1.54 4.15
H 3.40 0.58 -0.17
H -0.07 3.52 0.03
C -2.36 -5.95 -1.48
N -2.33 -0.87 0.08
H -5.73 3.12 -0.23
C 3.66 4.37 -1.17
H 3.68 4.58 0.99
H -2.04 2.39 4.50
H -2.48 -1.34 2.59
C 0.77 -3.16 3.60
Cr 0.74 -0.30 -0.74
N 2.42 3.57 -1.25
H 4.35 1.50 -1.34
C -1.57 -1.85 2.88
H -0.62 5.04 -0.67
H -3.78 -2.19 -0.67
H 4.68 5.75 0.12
C 3.63 1.58 -0.52
H 4.11 2.15 0.28
H 3.83 -2.99 0.45
C -2.33 2.51 -1.96
H -3.20 -6.22 0.48
C -3.22 3.44 -2.48
C 0.52 -2.90 2.27
C 4.09 -4.13 -1.39
H 2.93 5.94 0.15
C 2.39 2.26 -1.01
H 1.05 0.37 1.22
H -1.43 -5.42 -3.34
C 3.56 -3.16 -0.59
H 0.55 2.10 -1.60
H -0.62 -3.24 -2.52
C -0.99 1.13 1.53
C -1.43 -3.51 -0.54
C -4.77 2.96 -0.71
```



Entry 2:
C36H41IN3PTi as an isolated structure, computed with the ωB97M-V functional and the def2-TZVPD basis.

relative energy (zero: lowest compared OMol25 entry of this formula, charge and spin) = 0.00 kcal per mole
HOMO (alpha / beta) = -0.3796 / -0.3902 Eh
multiplicity = 2
HOMO-LUMO gap (alpha / beta) = 0.286 / 0.297 Eh
F_max = 0.64 eV/Å
LUMO level (alpha / beta) = -2.550 / -2.524 eV
charge = +1

The geometry in XYZ format:
```
83
C36H41IN3PTi | OMol25 | the ωB97M-V functional and the def2-TZVPD basis
H -3.69 0.42 -2.31
H -3.19 -1.90 7.50
C 0.73 3.74 4.74
C 0.45 2.40 4.61
H 0.19 4.70 1.53
C 2.60 -0.69 -0.45
H 2.84 -3.74 2.62
H 1.11 -4.76 -1.97
H 4.85 -2.54 3.39
H -4.20 0.44 3.53
H 5.33 -4.31 0.16
C 1.45 -0.70 3.17
H -0.48 2.85 0.13
H 5.66 -2.90 1.17
C 1.81 -2.91 -1.13
C -1.13 -0.55 4.53
H -1.61 1.86 1.06
C 0.66 4.56 3.61
C 0.34 -2.87 2.35
H 4.44 1.10 1.28
~~~


  1. Place patient in private room with private bathroom or own commode, and keep the door closed. (Place in a negative pressure room if anticipating aerosol-generating procedures).
  2. Place patient on Contact and Droplet Isolation.


  1. Use fluid-impermeable PPE – gowns, gloves, mask, face shields, eye protectors, and shoe covers – when in the patient’s room.
  2. Remove and dispose of contaminated PPE before leaving the room.
  3. Perform hand hygiene per policy
  4. Use dedicated equipment or disposable if any
  5. Restrict staff to essential personnel only
  6. Restrict and screen visitors
  7. Maintain a log of persons entering the patient’s room
  8. Restrict patient's movement from the room


About Ebola

Ebola is a highly contagious viral illness, spread by direct contact with body fluid(s)—such as urine, saliva, blood, breast milk, semen, etc.—from an infected individual, which is characterized by the sudden onset of fever and malaise, along with other symptoms such as myalgia, headache, vomiting and diarrhea. In severe and fatal forms, multiorgan dysfunction develops, including liver and kidney damage and central nervous system involvement, leading to shock and death. Experimental research is underway to determine the effectiveness of ZMapp—an experimental treatment was given to seven infected healthcare workers; five of them have survived the deadly illness. To date, no human trials with ZMapp have taken place to assess its efficacy in treating EVD. Until this is determined, no cure for the illness exists.
The Ebola virus incubates from two to 21 days before the disease becomes evident, making it very difficult to screen effectively for symptoms as individuals move about in their travels.

The Centers for Disease Control and Preparedness has developed guidelines for hospital readiness and an algorithm that guides the triage nurse or physician in knowing when to immediately isolate suspect cases, and which steps to take once suspicion is aroused.

CDC Resources: